**Input**
~~~
39
Properties=species:S:1:pos:R:3 method="wB97M-V/def2-TZVPD" energy_ev=-54840.5835 orbital_gap_ev="6.49 / 6.83" total_charge=+2 s2=0.755 max_force_ev_per_a=1.84 mol_weight_da=557.61 lumo_energy_ha="-0.3394 / -0.3271" e_homo_ev="-15.723 / -15.731" multiplicity=2
Ir 0.3421 -0.3524 0.3086
S 2.5948 -0.9024 -1.0890
S -0.4704 -2.5181 -1.1035
O 2.2132 -1.2855 0.3358
O -0.7572 -1.0770 -1.4075
O 3.9374 -0.5543 -1.3236
O -1.5020 -3.4520 -1.3055
O 0.0615 -2.4010 0.3303
O 1.5589 0.1531 -1.3929
N -1.1754 2.2212 2.0037
N -1.7618 3.2710 0.0535
N -0.5613 1.4100 4.0933
N 0.2197 0.3715 2.1760
N -0.7325 1.2075 -0.0486
C -1.2122 2.2257 0.6463
C 0.2101 0.4789 4.9322
C -1.5180 2.2589 4.8201
C 0.6688 -3.9486 -3.0391
C -0.4959 1.3020 2.7793
C 3.1284 -2.6289 -3.0470
C 2.8721 -3.6548 -3.9572
C 0.9071 -2.9331 -2.1315
C 2.1572 -2.2642 -2.1336
C 1.6595 -4.3049 -3.9539
H 3.6393 -3.9288 -4.6683
H -0.8306 1.2953 -1.0575
H 0.6915 -0.2443 2.8266
H 4.0781 -2.1149 -3.0502
H -1.8566 3.1230 4.2553
H -1.6390 2.9787 2.4781
H -2.3849 1.6695 5.1195
H -0.2120 -0.5275 4.8976
H -1.8474 3.3021 -0.9521
H -0.2854 -4.4544 -3.0334
H 0.1626 0.8259 5.9586
H -2.1360 4.0564 0.5632
H -1.0305 2.6378 5.7138
H 1.4600 -5.0973 -4.6620
H 1.2573 0.4621 4.6317


# 1
A structure of composition C29H25N3O10PbS at a distorted geometry, computed with ωB97M-V/def2-TZVPD.

The geometry in ORCA input format:
```
! wB97M-V def2-TZVPD RIJCOSX def2/J DEFGRID3
* xyz 0 1
Pb 1.410 -0.095 1.036
O 1.025 3.049 0.060
C -1.199 3.601 -0.702
C -1.746 4.521 -1.594
C -3.056 4.926 -1.495
C -3.834 4.391 -0.484
C -3.293 3.475 0.385
C -1.957 3.015 0.340
C -1.697 2.107 1.470
N -0.829 1.201 1.784
N -1.028 0.744 3.040
C -0.525 -0.450 3.316
O -0.118 -1.276 2.440
C -0.464 -0.832 4.749
C -0.723 0.082 5.767
C -0.513 -0.277 7.088
C -0.059 -1.551 7.403
C 0.170 -2.474 6.392
C -0.027 -2.115 5.070
H -1.095 4.934 -2.352
H -3.449 5.671 -2.171
H -4.861 4.707 -0.359
H -3.918 3.069 1.169
H -2.468 2.228 2.232
H -1.072 1.068 5.494
H -0.699 0.436 7.880
H 0.115 -1.828 8.435
H 0.510 -3.472 6.636
H 0.163 -2.810 4.265
O 2.744 -2.161 1.666
C 2.938 -3.137 0.951
C 2.624 -3.343 -0.447
C 3.317 -4.391 -1.059
C 3.122 -4.713 -2.380
C 2.153 -4.026 -3.133
C 1.450 -3.011 -2.561
C 1.664 -2.582 -1.210
O 0.973 -1.601 -0.783
N 3.901 -5.758 -2.993
O 3.653 -6.053 -4.151
O 4.776 -6.291 -2.328
H 3.448 -4.005 1.409
H 4.050 -4.955 -0.495
H 1.994 -4.321 -4.160
H 0.704 -2.464 -3.125
C 4.633 1.547 0.931
O 3.486 1.640 1.769
H 5.310 2.386 1.107
H 4.363 1.513 -0.127
H 5.143 0.621 1.192
H 2.917 2.351 1.434
C -4.207 -0.761 -4.074
C -3.040 0.093 -3.679
C -2.491 1.017 -4.564
C -1.410 1.796 -4.191
C -0.878 1.634 -2.921
C -1.404 0.729 -2.013
C -2.488 -0.031 -2.402
S 0.552 2.612 -2.563
O 0.185 3.471 -0.988
O 0.625 3.707 -3.470
O 1.735 1.870 -2.301
H -4.503 -0.583 -5.106
H -5.061 -0.548 -3.430
H -3.958 -1.815 -3.952
H -2.915 1.136 -5.553
H -0.973 2.519 -4.865
H -0.979 0.601 -1.027
H -2.916 -0.737 -1.702
*
```

The calculation puts the LUMO energy at -0.6 eV.

***

# 2
A structure of composition C29H25N6O5Pt, computed with ωB97M-V/def2-TZVPD.

The geometry in ORCA input format:
```
! wB97M-V def2-TZVPD RIJCOSX def2/J DEFGRID3
* xyz 1 1
Pt -0.258 -0.153 -0.353
C 4.155 2.940 0.852
C 3.710 1.712 1.323
C 2.420 1.286 1.051
C 1.588 2.128 0.326
C 2.009 3.369 -0.137
C 3.308 3.766 0.121
N 0.247 1.694 0.085
N -0.637 2.580 0.147
C -1.922 2.070 -0.059
C -3.028 2.894 -0.004
C -4.278 2.320 -0.174
C -4.375 0.953 -0.389
C -3.223 0.186 -0.433
N -2.022 0.743 -0.272
H 5.168 3.259 1.058
H 4.368 1.083 1.906
H 2.049 0.337 1.415
H 1.326 3.998 -0.692
H 3.660 4.722 -0.240
H -2.889 3.950 0.177
H -5.168 2.932 -0.134
H -5.334 0.473 -0.518
H -3.231 -0.881 -0.601
O -0.994 -1.938 -1.002
C -0.626 -3.106 -0.664
C 0.115 -3.557 0.422
C 0.578 -4.898 0.316
C 1.405 -5.411 1.254
C 1.792 -4.651 2.399
C 1.336 -3.390 2.562
C 0.457 -2.752 1.595
O 0.007 -1.610 1.788
N 1.920 -6.767 1.086
O 2.635 -7.207 1.965
O 1.609 -7.375 0.077
H -0.933 -3.878 -1.378
H 0.300 -5.506 -0.536
H 2.446 -5.112 3.125
H 1.603 -2.803 3.430
~~~

**Job**
Your job: find the line further up that holds "-3.0334", then copy that line and all lines after it there.

**Reply**
H -0.2854 -4.4544 -3.0334
H 0.1626 0.8259 5.9586
H -2.1360 4.0564 0.5632
H -1.0305 2.6378 5.7138
H 1.4600 -5.0973 -4.6620
H 1.2573 0.4621 4.6317


# 1
A structure of composition C29H25N3O10PbS at a distorted geometry, computed with ωB97M-V/def2-TZVPD.

The geometry in ORCA input format:
```
! wB97M-V def2-TZVPD RIJCOSX def2/J DEFGRID3
* xyz 0 1
Pb 1.410 -0.095 1.036
O 1.025 3.049 0.060
C -1.199 3.601 -0.702
C -1.746 4.521 -1.594
C -3.056 4.926 -1.495
C -3.834 4.391 -0.484
C -3.293 3.475 0.385
C -1.957 3.015 0.340
C -1.697 2.107 1.470
N -0.829 1.201 1.784
N -1.028 0.744 3.040
C -0.525 -0.450 3.316
O -0.118 -1.276 2.440
C -0.464 -0.832 4.749
C -0.723 0.082 5.767
C -0.513 -0.277 7.088
C -0.059 -1.551 7.403
C 0.170 -2.474 6.392
C -0.027 -2.115 5.070
H -1.095 4.934 -2.352
H -3.449 5.671 -2.171
H -4.861 4.707 -0.359
H -3.918 3.069 1.169
H -2.468 2.228 2.232
H -1.072 1.068 5.494
H -0.699 0.436 7.880
H 0.115 -1.828 8.435
H 0.510 -3.472 6.636
H 0.163 -2.810 4.265
O 2.744 -2.161 1.666
C 2.938 -3.137 0.951
C 2.624 -3.343 -0.447
C 3.317 -4.391 -1.059
C 3.122 -4.713 -2.380
C 2.153 -4.026 -3.133
C 1.450 -3.011 -2.561
C 1.664 -2.582 -1.210
O 0.973 -1.601 -0.783
N 3.901 -5.758 -2.993
O 3.653 -6.053 -4.151
O 4.776 -6.291 -2.328
H 3.448 -4.005 1.409
H 4.050 -4.955 -0.495
H 1.994 -4.321 -4.160
H 0.704 -2.464 -3.125
C 4.633 1.547 0.931
O 3.486 1.640 1.769
H 5.310 2.386 1.107
H 4.363 1.513 -0.127
H 5.143 0.621 1.192
H 2.917 2.351 1.434
C -4.207 -0.761 -4.074
C -3.040 0.093 -3.679
C -2.491 1.017 -4.564
C -1.410 1.796 -4.191
C -0.878 1.634 -2.921
C -1.404 0.729 -2.013
C -2.488 -0.031 -2.402
S 0.552 2.612 -2.563
O 0.185 3.471 -0.988
O 0.625 3.707 -3.470
O 1.735 1.870 -2.301
H -4.503 -0.583 -5.106
H -5.061 -0.548 -3.430
H -3.958 -1.815 -3.952
H -2.915 1.136 -5.553
H -0.973 2.519 -4.865
H -0.979 0.601 -1.027
H -2.916 -0.737 -1.702
*
```

The calculation puts the LUMO energy at -0.6 eV.

***

# 2
A structure of composition C29H25N6O5Pt, computed with ωB97M-V/def2-TZVPD.

The geometry in ORCA input format:
```
! wB97M-V def2-TZVPD RIJCOSX def2/J DEFGRID3
* xyz 1 1
Pt -0.258 -0.153 -0.353
C 4.155 2.940 0.852
C 3.710 1.712 1.323
C 2.420 1.286 1.051
C 1.588 2.128 0.326
C 2.009 3.369 -0.137
C 3.308 3.766 0.121
N 0.247 1.694 0.085
N -0.637 2.580 0.147
C -1.922 2.070 -0.059
C -3.028 2.894 -0.004
C -4.278 2.320 -0.174
C -4.375 0.953 -0.389
C -3.223 0.186 -0.433
N -2.022 0.743 -0.272
H 5.168 3.259 1.058
H 4.368 1.083 1.906
H 2.049 0.337 1.415
H 1.326 3.998 -0.692
H 3.660 4.722 -0.240
H -2.889 3.950 0.177
H -5.168 2.932 -0.134
H -5.334 0.473 -0.518
H -3.231 -0.881 -0.601
O -0.994 -1.938 -1.002
C -0.626 -3.106 -0.664
C 0.115 -3.557 0.422
C 0.578 -4.898 0.316
C 1.405 -5.411 1.254
C 1.792 -4.651 2.399
C 1.336 -3.390 2.562
C 0.457 -2.752 1.595
O 0.007 -1.610 1.788
N 1.920 -6.767 1.086
O 2.635 -7.207 1.965
O 1.609 -7.375 0.077
H -0.933 -3.878 -1.378
H 0.300 -5.506 -0.536
H 2.446 -5.112 3.125
H 1.603 -2.803 3.430